10.1 UNL Youth Activity Safety Policy
The University of Nebraska–Lincoln has implemented a Youth Activity Safety Policy to provide a safe environment for youths participating in UNL-sponsored activities, clinics, or conferences. Our policy includes safe interaction guidelines and background and sex registry checks for Activity Workers. This policy will help to protect participating youths from potential misconduct incidents and help provide a safe, educational, and enjoyable activity/program experience.
Activity Workers
- All Activity Workers must successfully pass a sex offender registry search for Nebraska and the state(s) they reside.
- All Activity Workers driving activity vehicles must successfully pass a Driving Record Check.
- In the case of an emergency or accident involving your youth, parents/guardians will be notified, following notification of the appropriate emergency personnel.
- All UNL activities will comply with UNL’s Youth Activities Safety Policy.
- As parent(s) or legal guardian(s) you give permission to this activity to use photos of your child in promotional media.
- The minimum recommended adult/youth ratio is 1:10, or one 4-H faculty/staff or volunteer for every ten delegates.
- One adult must never be alone with one youth. Activity Workers will never put themselves in the position to be one-on-one with a non-related youth.
- Extension personnel will not travel alone with a 4-H member unless the 4-H member is their child.
If Nebraska 4-H's policy is more rigorous than UNL Youth Safety policy, staff and volunteers must adhere to Nebraska 4-H policy.
Disciplinary Action
The activity directors of University-sponsored activities, clinics, and conferences reserve the right to immediately dismiss any youth from the activity, clinic, or conference who is found to have violated behavioral expectations. Dismissed youth will be sent home at their expense and will be responsible for all other expenses associated with their dismissal. Parent(s)/guardian(s) will be immediately notified of the youth’s dismissal.
Youth Not Picked Up From Events
While rare, there are instances when a young person does not get picked up from a 4-H event. In this situation, staff should:
- Contact the emergency contact for that individual.
- If no response, contact local law enforcement.
- If possible, there should be more than one staff person present to wait with the youth; that may not always be the case. In that event, the staff person should stay with the youth; the youth should not be left alone.
10.2 Child Protection Policies: ∇
Nebraska Extension 4-H Youth Development believes in the right of every child to a safe and supportive environment. Actions against children that lead or contribute to abuse or neglect are contrary to the values of 4-H. Such actions are inappropriate in any setting, especially where youth are concerned. All reasonable effort is made to comply with State of Nebraska statutes and University of Nebraska guidelines in this area.
Nebraska State law requires all citizens to report suspected abuse to Nebraska Health and Human Services.
Call the Nebraska Abuse/Neglect Hotline at 1-800-652-1999.
To review the legal statutes regarding Nebraska child abuse and neglect go to the following site and review the codes listed below: http://nebraskalegislature.gov/
Review codes: 28-707, 28-709, 28-710, 28-711, 28-713, 28-713.01, 28-716, 28-717, 28-727, 28-728.
More information from Health and Human Service is located at: http://dhhs.ne.gov/Pages/contact.aspx.
10.3 Photo & Video Publication: ∇
Nebraska 4-H will use print and digital mediums (photos, video including live streaming and social media) for distributing information and providing recognition. In the interest of safety, Nebraska Extension must do this in a responsible manner. Therefore, the following guidelines will be used:
Photography & Videography Publishing Policy
- Do not identify any individuals in published photos/videos without their express consent, and, if a minor, their parent's/guardian's express consent.
- Do not tag locations when sharing live public photos/videos of minors.
- Do not tag personal accounts when sharing public photos or videos of any individuals without express consent.
Public Events
Photography/Videography at larger public events from a crowd view is permitted without individual written consent, however, participants and guests should be made aware that the event is being documented. Signage should be posted at the event entrance as well as near the photographer/videographer. For public events that are smaller in scale and individuals are easily identifiable, written consent should be secured from all participants and signage posted to inform the public. If consent is not secured from all participants photography/videography should not be permitted, unless the photography/videography can pause when individuals consent are participating. This must be done in a way that is without noticeable disruption at the event.
Close-Door/Private Events
[The text is interrupted by materials data]
=====
# MgP2Ir (PBE, relaxed)
# D(E_F)	1.9	states/eV/f.u.
# energy of formation	-0.33	eV per atom
# total moment	0.00	μB per atom
data_MgP2Ir
_symmetry_space_group_name_H-M 'C 1 2/m 1'
_symmetry_Int_Tables_number 12
_cell_length_a 6.3205
_cell_length_b 3.6585
_cell_length_c 6.2471
_cell_angle_alpha 90.00
_cell_angle_beta 109.89
_cell_angle_gamma 90.00
loop_
_symmetry_equiv_pos_as_xyz
'x,y,z'
'-x,-y,-z'
'-x,y,-z'
'x,-y,z'
'x+1/2,y+1/2,z'
'-x+1/2,-y+1/2,-z'
'-x+1/2,y+1/2,-z'
'x+1/2,-y+1/2,z'
loop_
_atom_site_label
_atom_site_type_symbol
_atom_site_fract_x
_atom_site_fract_y
_atom_site_fract_z
Mg1 Mg 0.0000 0.0000 0.0000
P1 P 0.2340 0.0000 0.7019
Ir1 Ir 0.0000 0.5000 0.5000



# MgP2Ir (PBE, relaxed)
# D(E_F)	1.2	states/eV/f.u.
# energy of formation	-0.37	eV per atom
# total moment	0.00	μB per atom
data_MgP2Ir
_symmetry_space_group_name_H-M 'P 1 2/m 1'
_symmetry_Int_Tables_number 10
_cell_length_a 3.8625
_cell_length_b 3.9115
_cell_length_c 4.6060
_cell_angle_alpha 90.00
_cell_angle_beta 96.10
_cell_angle_gamma 90.00
loop_
_symmetry_equiv_pos_as_xyz
'x,y,z'
'-x,-y,-z'
'-x,y,-z'
'x,-y,z'
loop_
_atom_site_label
_atom_site_type_symbol
_atom_site_fract_x
_atom_site_fract_y
_atom_site_fract_z
Mg1 Mg 0.0000 0.0000 0.0000
P1 P 0.4464 0.5000 0.7690
Ir1 Ir 0.5000 0.0000 0.5000



# MgP2Ir (PBE, relaxed)
# D(E_F)	1.9	states/eV/f.u.
# energy of formation	-0.25	eV per atom
# total moment	0.00	μB per atom
data_MgP2Ir
_symmetry_space_group_name_H-M 'I -4 2 d'
_symmetry_Int_Tables_number 122
_symmetry_space_group_name_Hall 'I -4 2bw'
_cell_length_a 5.6872
_cell_length_b 5.6872
_cell_length_c 10.6291
_cell_angle_alpha 90.00
_cell_angle_beta 90.00
_cell_angle_gamma 90.00
loop_
_atom_site_label
_atom_site_type_symbol
_atom_site_fract_x
_atom_site_fract_y
_atom_site_fract_z
Mg1 Mg 0.0000 0.0000 0.0000
P1 P 0.2020 0.2500 0.6250
Ir1 Ir 0.0000 0.0000 0.5000



# MgP2Ir (PBE, relaxed)
# D(E_F)	1.7	states/eV/f.u.
# energy of formation	-0.04	eV per atom
# total moment	0.00	μB per atom
data_MgP2Ir
_symmetry_space_group_name_H-M 'C m m m'
_symmetry_Int_Tables_number 65
_symmetry_space_group_name_Hall '-C 2 2'
_cell_length_a 5.4348
_cell_length_b 6.9430
_cell_length_c 3.1035
_cell_angle_alpha 90.00
_cell_angle_beta 90.00
_cell_angle_gamma 90.00
loop_
_atom_site_label
_atom_site_type_symbol
_atom_site_fract_x
_atom_site_fract_y
_atom_site_fract_z
Mg1 Mg 0.0000 0.0000 0.0000
P1 P 0.2500 0.2500 0.5000
Ir1 Ir 0.0000 0.5000 0.0000



# Mg4PIr (PBE, relaxed)
# D(E_F)	1.7	states/eV/f.u.
# energy of formation	0.33	eV per atom
# total moment	0.00	μB per atom
data_Mg4PIr
_symmetry_space_group_name_H-M 'F -4 3 m'
_symmetry_Int_Tables_number 216
_symmetry_space_group_name_Hall 'F -4 2 3'
_cell_length_a 7.5775
_cell_length_b 7.5775
_cell_length_c 7.5775
_cell_angle_alpha 90.00
_cell_angle_beta 90.00
_cell_angle_gamma 90.00
loop_
_atom_site_label
_atom_site_type_symbol
_atom_site_fract_x
_atom_site_fract_y
_atom_site_fract_z
Mg1 Mg 0.1243 0.1243 0.3757
P1 P 0.0000 0.0000 0.0000
=====
Do not take photos/videos of any individual without their written permission, and, if a minor, their parent's/guardian's written permission.
10.4 University Liability Coverage: ∇
University of Nebraska–Lincoln liability insurance covers 4-H participants and volunteers who have submitted a completed enrollment as direct or indirect volunteers and have successfully completed the screening process and are functioning within the scope of a 4-H volunteer. Enrollment and screening must be complete and current. Volunteers are covered in this situation because the 4-H program is part of the University of Nebraska–Lincoln.
10.5 Accident/Health Insurance: √
It is strongly recommended that each county 4-H program offers accident insurance for its members and leaders. American Income Life Insurance Company (AIL) offers two insurance policies for 4-H programs:
- Annual Group Insurance Policy ($1 a year plan)
- Provides a full year of coverage for enrolled 4-H members when participating in 4-H activities and events (club meetings, workshops, camps, fair, etc.)
- Enrolled volunteers can also be covered for $1.
- Those participating in high risk activities including horse project, athletic league sports, ATV, and motorcycle participants have a $2 annual fee.
- Special Activities Coverage for Accident and Illness (for individual events)
- When youth or adults who are not covered under the Annual Policy participate in events and activities, it is advisable to take out this per day accident insurance for these youth.
- Covers any 4-H or extension sponsored activity for youth or adults. Further information on policy benefits and applying for coverage is on the AIL website: https://www.ailife.com/SpecialRiskDivision/4H-Extension
10.6 Use of Alcohol/Tobacco/Controlled Substances during 4-H Activities: ∇
Using or possessing alcohol, tobacco or any controlled substances not under physicians’ prescription, at any 4-H event by program participants is prohibited. Infraction of the rules may result in dismissal from the event or program, the withholding of premiums, or other disciplinary action.
Alcohol or tobacco products should not be used by adults in the presence of youth(s) and any use must comply with University policies. Use of illegal drugs or non-over the counter drugs without a prescription is prohibited. Volunteers conducting any activity under the influence of alcohol or other mind altering substances are subject to immediate dismissal.
Extension Staff, in consultation with those individuals/volunteers supervising the relevant event, will determine the appropriate disciplinary action. In the event of dismissal, the Extension staff responsible and the parent/guardians of the 4-H member will be contacted before the 4-H member is sent home. 4-H should not or will not sponsor events where alcohol is served.
10.7 University of Nebraska–Lincoln Social Security Number Usage Policy: ∇
The Nebraska Extension4-H shall not use Social Security Numbers to identify 4-H members, employees, or other information providers, outside of those identification uses specifically required by law, such as for financial aid, payroll, benefit functions and background checks.
∇ Policy: Not negotiable
√ Guideline: Strongly recommended
≈ Procedure: Recommended "Implementation Steps" for 4-H Staff